Demystifying SPF Record Limitations

Communication is the hallmark of processes between governments, organizations, and individuals; there is a potent need to know what goes around; email is one of the cheapest means of communicating globally today. Cybercriminals know that many people utilize email platforms for communication and leverage this knowledge for email phishing attacks.

**Next to the page, the page also holds calculated molecules**
<<<
Entry 1:
The following is a quantum chemistry calculation of C31H31CrF3N3O6S as an isolated structure in a non-equilibrium geometry, from the Open Molecules 2025 dataset.

Each line ends with the Löwdin charge.
CARTESIAN COORDINATES (ANGSTROEM)
Cr 0.347 0.820 0.782  0.799
O -0.238 -0.936 -0.408  -0.093
C -0.108 -0.804 -1.892  -0.247
C -0.082 0.723 -2.060  -0.572
O -0.505 1.104 -3.154  0.089
O 0.383 1.433 -1.108  -0.078
C -1.377 -1.456 -2.510  -0.130
C -1.369 -1.824 -3.852  0.000
C -2.482 -2.504 -4.384  -0.068
C -3.583 -2.748 -3.610  -0.104
C -3.623 -2.300 -2.303  -0.085
C -2.530 -1.652 -1.750  -0.048
C 1.153 -1.443 -2.402  -0.168
C 2.118 -0.683 -3.021  -0.018
C 3.331 -1.202 -3.481  -0.051
C 3.519 -2.569 -3.375  -0.085
C 2.550 -3.377 -2.776  -0.056
C 1.326 -2.830 -2.317  -0.002
H -0.143 -1.885 -0.147  0.140
H -0.469 -1.667 -4.431  0.125
H -2.556 -2.754 -5.436  0.105
H -4.379 -3.333 -4.057  0.104
H -4.543 -2.402 -1.708  0.111
H -2.574 -1.518 -0.659  0.116
H 1.880 0.316 -3.279  0.113
H 4.016 -0.512 -3.923  0.102
H 4.431 -2.992 -3.735  0.094
H 2.800 -4.404 -2.539  0.100
H 0.515 -3.458 -1.929  0.129
C 3.514 1.603 -0.555  -0.009
C 3.340 0.316 0.219  -0.230
C 4.490 -0.538 0.251  -0.017
C 4.527 -1.747 0.923  0.018
C 3.353 -2.116 1.680  -0.147
C 3.231 -3.338 2.451  -0.044
C 2.086 -3.558 3.187  -0.088
C 1.044 -2.607 3.269  -0.131
C 1.085 -1.409 2.575  -0.598
S -0.177 -0.253 2.831  0.736
C 2.236 -1.233 1.621  -0.170
N 2.209 -0.070 0.859  0.042
H 4.105 1.333 -1.432  0.082
H 3.982 2.388 0.038  0.084
H 2.570 2.014 -0.926  0.074
H 5.390 -0.158 -0.271  0.125
H 5.421 -2.431 0.892  0.135
H 4.105 -3.998 2.481  0.109
H 2.058 -4.449 3.808  0.103
H 0.209 -2.761 3.949  0.099
C -5.008 0.935 1.921  -0.061
N -3.928 1.319 1.004  -0.128
C -4.131 0.865 -0.405  -0.012
C -2.734 1.803 1.473  -0.434
O -1.647 1.465 0.898  -0.093
N -2.797 2.686 2.502  -0.113
C -3.969 3.497 2.795  -0.045
C -1.569 3.041 3.214  -0.020
H -5.578 0.093 1.465  0.097
H -5.763 1.769 2.028  0.086
H -4.605 0.725 2.913  0.094
H -5.110 1.219 -0.816  0.105
H -4.090 -0.232 -0.442  0.053
H -3.309 1.251 -1.031  0.102
H -4.603 3.551 1.899  0.095
H -3.574 4.464 3.091  0.090
H -4.518 3.034 3.648  0.099
H -1.123 2.112 3.631  0.052
H -1.804 3.680 4.072  0.095
H -0.846 3.545 2.528  0.078
F 3.638 3.761 1.807  0.125
C 2.507 4.482 1.747  -0.453
F 2.746 5.461 0.823  0.129
F 2.363 5.029 3.023  0.104
C 1.242 3.658 1.349  -0.528
O 0.242 4.263 1.008  0.088
O 1.382 2.393 1.468  -0.100

Summary:
**Energy relative to the best compared isomer or geometry (same formula, charge and spin)**: 2.0 kcal/mol
**<S²>**: 3.7848
**Multiplicity**: 4
**Maximum force**: 2.43 eV/Å

Entry 2:
The following is a quantum chemistry calculation of a 2-piece molecular cluster, C6H12O overall, from the Open Molecules 2025 dataset.

Each line ends with the Löwdin charge.
CARTESIAN COORDINATES (ANGSTROEM)
C -0.004 0.409 2.930  0.036
C 0.326 0.145 1.645  -0.311
C 1.220 -1.063 1.427  -0.065
C -0.136 0.991 0.529  -0.321
C -1.097 1.907 0.731  0.053
>>>

An unnerving report in 2019 says that 99% of cyberattacks use some form of social engineering, such as phishing emails, to access sensitive information. Usually, an email passes through the sender host’s server to the recipient server; there should be a measure to determine if the email is from an authorized IP address sender or a phishing campaign. 

What Developers Need to Know About the Price Checker App

Mobile apps and tools have become an integral part of our daily activities; the apps and tools development industry is steadily becoming very lucrative. Developers leave no stone unturned to ensure governments, organizations, and individuals conduct less stressful transactions.

According to Statista, the number of mobile devices worldwide should hit 18.22 billion in 2025; the statistics show that more people are reverting to mobile devices and will need relevant tools to carry out their daily routines. One critical area people need tools for is making their purchases, as most purchases are online.

Enhancing Web Accessibility For All in 2023

Web accessibility has become an all-time important factor in how individuals and organizations operate; more than ever before, everyone in the globe should be able to access and interact with websites on the World Wide Web. There is an urgent need to remove all barriers without considering if people have situational disabilities, physical disabilities, socioeconomic restrictions on bandwidth and speed, and other forms of impairments.

Someone pasted quantum chemistry results at this point.
=====
# C7H10O3

A cluster of 2 separate species, C7H10O3 in total in a non-equilibrium geometry (wB97M-V/def2-TZVPD, OMol25).

Last column: Mulliken charge in e.
Cartesian coordinates (Å):
C: 1.36635 -0.66748 1.29847  -0.641
C: 0.79829 -0.39360 0.12207  0.730
C: 0.66002 0.76121 -0.64793  -0.612
C: 1.00711 -2.07432 1.67199  -0.146
C: 0.53280 -2.59816 0.31055  -0.509
C: -2.51525 1.93948 -1.16137  -0.854
C: -1.22082 2.56629 -1.25607  0.447
O: 1.41992 1.87621 -0.28144  -0.544
O: 0.11380 -1.52363 -0.48465  -0.405
O: -0.57670 3.43321 -1.65115  -0.342
H: 1.43764 0.22576 1.94926  0.233
H: 0.49842 0.58076 -1.67646  0.535
H: 1.99780 -2.59023 2.05891  0.231
H: 0.16469 -2.15850 2.42659  0.230
H: 1.32665 -3.16701 -0.18018  0.262
H: -0.41077 -3.22839 0.36348  0.249
H: -2.40575 0.87047 -1.13688  0.253
H: -3.28909 2.31078 -1.95251  0.295
H: -2.85749 2.28352 -0.22597  0.293
H: 1.95238 1.55365 0.45330  0.293

Its energy is -13558.39735 eV. The calculation puts the molar mass at 142.15 g mol⁻¹. The LUMO energy (alpha / beta) comes out at -0.043 / 0.567 eV. The value obtained for the HOMO energy (alpha / beta) is -0.2433 / -0.2672 hartree. Its net charge is 0.



# C38H53AsCl2N5OY

A structure of composition C38H53AsCl2N5OY (wB97M-V/def2-TZVPD, OMol25).

Last column: Mulliken charge in e.
Cartesian coordinates (Å):
Y: -0.87230 -0.61965 0.51599  -0.442
N: -2.66850 0.24920 -1.10470  -0.390
C: -2.25690 0.84614 -2.38269  -0.873
C: -0.78760 1.23831 -2.31745  -0.277
N: 0.04766 0.13057 -1.81379  -0.115
C: 0.24429 -0.96829 -2.77799  -0.841
C: -0.73735 -2.11288 -2.56823  -0.786
N: -0.66519 -2.54574 -1.17502  -0.466
H: -3.42148 -0.42421 -1.19860  0.344
H: -3.02424 0.96976 -0.48083  0.039
H: -2.84750 1.72765 -2.64507  0.487
H: -2.41751 0.11880 -3.17859  0.399
H: -0.65556 2.06725 -1.62165  0.130
H: -0.44948 1.57074 -3.30651  0.472
H: 0.95555 0.53483 -1.61693  0.178
H: 1.25379 -1.36295 -2.63158  0.435
H: 0.18959 -0.60128 -3.80921  0.436
H: -0.50574 -2.90981 -3.28267  0.436
H: -1.75918 -1.79428 -2.76607  0.335
H: 0.16701 -3.09825 -0.99353  0.206
H: -1.46421 -3.10528 -0.88886  0.325
C: 2.86536 -0.53937 1.46713  -1.261
C: 2.47242 -0.49420 2.93216  -0.696
O: 1.42055 0.41251 3.19307  0.270
C: 1.87962 1.70445 3.58794  0.095
C: 2.47151 1.73712 4.98496  -1.287
H: 3.81144 -1.08687 1.40356  0.591
H: 3.03999 0.47372 1.10174  0.574
H: 2.33010 -1.32873 -0.31678  0.401
H: 3.37102 -0.22760 3.49603  0.355
H: 2.15578 -1.47939 3.27436  0.520
H: 1.00181 2.34642 3.53698  -0.128
H: 2.59881 2.08506 2.85233  0.269
H: 1.72513 1.42416 5.71148  0.113
H: 2.78378 2.75612 5.22110  0.444
H: 3.34724 1.09438 5.08556  0.432
Cl: 3.83545 -3.57897 0.29322  -0.243
C: 2.29789 -3.59382 1.15337  0.267
C: 1.91456 -4.74694 1.81272  -0.471
C: 0.67672 -4.77118 2.45011  -0.788
C: -0.16745 -3.66834 2.37833  -0.786
C: 0.20824 -2.49688 1.71755  0.932
Cl: -3.03782 -2.05238 0.95638  -0.480
C: 1.46474 -2.48205 1.11741  -1.158
N: 1.85682 -1.18840 0.57378  0.529
H: 2.57495 -5.60312 1.82329  0.435
H: 0.37326 -5.66838 2.97680  0.366
=====

The WHO reports that as of December 2022, approximately 1.3 billion people, representing one in six of the global population, experience significant disabilities. Disabilities may vary among individuals; some forms of disabilities may be mild while others are of high potency; web accessibility should be relatively easy for everyone.

How to Use IP Addresses for Data Protection and Privacy

It is a common practice for public and private organizations to depend on their IT teams to secure data; while there is nothing wrong with the idea, it is not enough. With more people operating remotely and the number of global data breaches jumping by 273% in the first quarter of 2020, the IT team cannot take on the task of overseeing data protection efficiently alone as we move on.

Even individuals who may not be part of any organization need to secure their data and ensure their privacy; this has become critical in the face of the heightened activities of cybercriminals. The prediction by Gartner Inc. that global security spending will hit $170 billion by 2022 indicates that cybercriminals are not relenting in their nefarious activities.

# Unrelated to this text: calculated molecules
/*
# C4H5N3

One molecule with the formula C4H5N3 in a non-equilibrium geometry (ωB97M-V with the def2-TZVPD basis set, the OMol25 dataset).

Values from the calculation:
Gap between HOMO and LUMO (spin up / spin down): 8.0 / 8.0 eV
Total charge: 0
HOMO energy (spin up / spin down): -8.37 / -8.37 eV
Multiplicity: 1
Lowest unoccupied orbital energy (spin up / spin down): -0.0142 / -0.0142 Ha

Each atom is followed by the atoms it is bonded to, with distances in Å.
CARTESIAN COORDINATES (ANGSTROEM)
1 H 2.728 -0.014 -1.080  N8 1.014
2 N 0.853 -1.310 -0.101  C9 1.237
3 C -1.303 -1.007 0.246  C4 1.359, H10 1.089
4 C -1.880 0.222 0.181  C3 1.359, H5 1.102, C11 1.436
5 H -2.952 0.476 0.200  C4 1.102
6 N 0.353 1.148 0.065  C9 1.359, C11 1.303
7 H -1.283 2.332 -0.099  C11 1.096
8 N 2.498 -0.177 -0.106  H1 1.014, C9 1.593, H12 1.032
9 C 0.919 -0.088 0.080  N2 1.237, N6 1.359, N8 1.593
10 H -1.941 -1.885 0.323  C3 1.089
11 C -0.941 1.300 0.046  C4 1.436, N6 1.303, H7 1.096
12 H 3.060 -0.976 0.227  N8 1.032

***

# C4H5N3

A 2-piece molecular cluster, C4H5N3 overall in a non-equilibrium geometry (ωB97M-V with the def2-TZVPD basis set, the OMol25 dataset).

Values from the calculation:
Gap between HOMO and LUMO: 9.7 eV
Total charge: 0
HOMO energy: -8.96 eV
Multiplicity: 1
Lowest unoccupied orbital energy: 0.0256 Ha
Structure (SMILES): c1cn[nH]c1.C#N

Each atom is followed by the atoms it is bonded to, with distances in Å.
CARTESIAN COORDINATES (ANGSTROEM)
1 C 0.391 1.287 1.009  N2 1.354, H7 1.116, C11 1.426
2 N -0.767 1.128 1.693  C1 1.354, N9 1.356
3 C -1.232 0.208 -1.923  N4 1.207, H12 1.039
4 N -1.418 0.274 -0.732  C3 1.207
5 H 0.807 -1.613 1.921  C6 1.005
6 C 0.527 -0.686 1.655  H5 1.005, N9 1.406, C11 1.350
7 H 0.395 2.137 0.286  C1 1.116
8 H -1.536 -0.693 1.871  N9 1.018
9 N -0.699 -0.163 2.102  N2 1.356, C6 1.406, H8 1.018
10 H 2.091 0.192 0.213  C11 1.085
11 C 1.275 0.171 0.927  C1 1.426, C6 1.350, H10 1.085
12 H -1.417 0.652 -2.844  C3 1.039

***

Computed relative energy (zero: lowest compared OMol25 entry of this formula, charge and spin) (kcal per mole) in order:
147.9 90.1


Below is 9 unconnected molecules or ions with the total composition C68H168F2N6O9P3S2, with properties calculated with ωB97M-V/def2-TZVPD.

Properties
Net charge: +7
Total energy in eV: -155501.7155

Structure (XYZ):
```
258
Properties=species:S:1:pos:R:3:forces:R:3
H 4.800 -0.116 -7.104 0.389 -1.305 0.435
H 4.826 -5.457 -4.755 -0.199 -0.260 -0.038
C 9.893 1.070 2.517 0.981 -0.016 -0.400
H -9.963 2.231 -4.282 -0.007 -0.625 0.080
N 0.016 1.712 -3.328 0.827 -0.553 -1.754
H -6.854 -3.920 7.153 -0.493 0.393 -0.042
C 4.748 -6.378 4.006 -0.478 0.490 -1.284
H -5.040 -6.069 -0.926 -0.258 0.477 0.455
C -0.962 3.947 -3.123 0.153 1.338 -0.590
C 1.047 -6.571 -0.567 0.445 0.096 1.640
C 6.377 5.390 -1.023 0.605 -2.034 1.283
H 5.618 -0.366 -4.519 -0.051 0.511 0.142
C 10.937 1.855 1.660 -0.847 0.066 -0.517
C 5.520 -6.878 2.760 0.090 0.354 -0.387
H -0.375 4.318 5.705 0.057 -0.890 -0.330
*/

How to Enable Big Data Best Practices

Why do you need Big Data best practices? Whether it’s government, private organizations, military, healthcare, or agencies such as NASA, there is no better option to meet analytics needs, increase productivity, and become more efficient. 

Big Data has become the fulcrum on which organizations of all sizes and shapes revolve for quite some time now. The integration of analytics tools and Big Data management has been the hallmark of transformational technologies organizations are adopting.